Petrole brent wikipedia

=====
Entry 1:
Density functional theory data (ωB97M-V/def2-TZVPD) for a structure of composition C20H46OP4RhS.

ORCA input file:
```
! RIJCOSX wB97M-V def2-TZVPD def2/J DEFGRID3
* xyz 3 5
Rh 0.49912 0.87576 -0.99455
P 1.97487 1.08842 0.80754
P -1.22925 1.66847 0.27823
P 1.28917 2.08043 -2.65796
H -0.42388 -1.63249 1.65243
C -0.12690 -2.11797 0.72726
C 1.11964 -2.50054 0.45543
H 1.97739 -2.33406 1.10531
C 1.81409 0.25863 2.40601
C 2.13043 2.81553 1.35802
C 3.72295 0.65341 0.34793
C -2.81341 0.81467 0.06387
C -1.26640 2.00266 2.07569
C -1.48978 3.37649 -0.34124
C 2.63942 1.19391 -3.47175
C 1.98057 3.68139 -2.06720
C -0.11341 2.47618 -3.73348
H -0.94583 -2.32609 0.01602
H 1.31535 -3.04239 -0.48277
H 2.19192 -0.76623 2.35098
H 0.79420 0.22390 2.81110
H 2.44691 0.82843 3.10137
H 1.24290 3.18393 1.87378
H 2.37980 3.49852 0.54570
H 2.95888 2.79908 2.07133
H 3.77384 -0.41326 0.06901
H 4.34803 0.82488 1.23159
H 4.02681 1.28225 -0.50723
H -3.67216 1.47974 0.23597
H -2.87124 -0.01344 0.77876
H -2.91346 0.38993 -0.94107
H -2.09761 2.69115 2.31877
H -0.34359 2.47285 2.43819
H -1.42608 1.05769 2.63251
H -2.34961 3.84560 0.15209
H -1.65916 3.40622 -1.41678
H -0.62144 4.00012 -0.12153
H 2.25918 0.78687 -4.41527
H 2.96858 0.36957 -2.82557
H 3.47409 1.87527 -3.68940
H 2.10713 4.33333 -2.94755
H 2.95512 3.48935 -1.58714
H 1.28629 4.14769 -1.34555
H -0.07240 1.80450 -4.59310
H -0.07501 3.51929 -4.06951
H -1.05273 2.28735 -3.17609
C -0.77456 -1.70351 -3.67020
C -1.71475 -1.90581 -4.70371
C -1.54085 -2.97660 -5.58358
C -0.41788 -3.79427 -5.46554
C 0.51630 -3.58474 -4.46153
C 0.36019 -2.53376 -3.57019
S -1.12653 -0.53544 -2.44302
H 2.05546 0.30819 -0.88205
H -2.58176 -1.23574 -4.70996
H -2.27776 -3.14691 -6.35572
H -0.29680 -4.62464 -6.15245
H 1.37317 -4.22458 -4.34117
H 1.04751 -2.35328 -2.71851
C -0.61604 -3.19799 4.44853
P -1.75069 -1.78571 4.37447
C -3.39898 -2.45496 4.03312
C -1.81848 -1.05657 6.03528
O -1.32249 -0.77955 3.33905
H -1.12437 -4.09325 4.83283
H 0.22080 -2.94159 5.11170
H -0.22463 -3.39028 3.44072
H -3.71903 -3.15875 4.81665
H -4.11667 -1.62287 3.98911
H -3.40705 -2.95403 3.05265
H -0.80544 -1.05802 6.45367
H -2.14924 -0.01792 5.92007
H -2.50280 -1.61443 6.68960
*
```

## Properties
gap between HOMO and LUMO (spin up / spin down): 0.28268 / 0.16530 Ha
DFT total energy: -74504.71262 eV
lowest unoccupied orbital energy (spin up / spin down): -8.869 / -12.415 eV
<S²>: 6.0308
ΔE to the lowest compared entry with this formula, charge and spin: 60.1 kcal per mole

=====

Entry 2:
Density functional theory data (ωB97M-V/def2-TZVPD) for a structure of composition CH11O7PdV.

ORCA input file:
```
! RIJCOSX wB97M-V def2-TZVPD def2/J DEFGRID3
* xyz 1 4
O 2.41863 1.77390 -0.38306
V 1.82216 0.91356 -1.59834
O 2.10875 1.65050 -2.91798
Pd 2.65574 -2.16916 -0.27832
C -0.33579 -0.36424 0.79753
O 0.85937 -0.63744 0.15176
H -0.54300 -0.92993 1.70591
H -0.41281 0.63871 1.21737
H -1.19064 -0.33559 0.12187
O -0.12698 2.20227 -1.48855
H -0.43443 2.16960 -0.58266
=====

Brent est le nom d'un gisement pétrolier découvert en 1971 en mer du Nord au large d'Aberdeen , dont l'exploitation a commencé en 1976. Le terme « brent » caractérise aujourd'hui un pétrole assez léger, issu d'un mélange de la production de 19 champs de pétrole situés en mer du Nord.

Dec 1, 2009 Lambert, Anna Musun‐Miller, Katie Petrole, Lori Byrd Phillips, [2] Artist Brent Gann's abstract piece, Orange Curves, is now in the former  Brent - Europe. 59.04, 62.83, 59.71, 63.21, 67.31, 63.82, 1987-2020. Conventional Gasoline. New York Harbor, Regular. 1.694, 1.726, 1.728, 1.724, 1.713  L'ouverture des hostilités contre les 9,5 millions de barils/jour du pétrole de schiste américain est lancée. Prix moyen du baril de pétrole de Brent par année  Depuis 2000, une hausse durable des prix du pétrole et des produits dérivés. a) L'augmentation des prix du brut. Prix du brent en dollar par baril. Année. Mar 9, 2020 Wikipedia, Big Oil. Accessed on April 14, 2019. The World Factbook, Field Listing : Exports – Commodities, Central Intelligence Agency. Feb 8, 2016 In June 2014 you had to plunk down $110 to purchase a barrel of Brent crude. By early 2015 that had dropped to $60. Today it costs just $33 to  Le pétrole brut provient de l'exploitation d'un puits, à l'issue des traitements de dessablage, Source: Wikipédia sous licence CC-BY-SA 3.0. La liste des Malgré une production limitée, le Brent sert de brut de référence au niveau mondial.

Le brent est un type de pétrole brut utilisé comme standard dans la fixation du prix du brut et comme matière première pour les contrats à terme sur le pétrole.

Brent is an Old English place name and surname. The place name can be from Celtic words meaning "holy one" (if it refers to the River Brent), or "high place", literally, "from a steep hill" (if it refers to the villages in Somerset and Devon, England) (Mills 1991). The surname often indicates that one's ancestors lived in a place called Brent. Brent est le nom d'un gisement pétrolier découvert en 1971 en mer du Nord au large d'Aberdeen , dont l'exploitation a commencé en 1976. Le terme « brent » caractérise aujourd'hui un pétrole assez léger, issu d'un mélange de la production de 19 champs de pétrole situés en mer du Nord. For travelers driving to Brent be sure to fill up your vehicle at Mattawa, from the west, or Stonecliffe, from the east, before making the voyage as there is not a fuel station close by (nearest is Mattawa 100 km away). Fuel in Brent is roughly $4.00 to $5.00 per litre, when available, at the Brent Store. Brent is a no smoking village. La crise pétrolière qui a fait chuter le prix du pétrole à 50 $/baril est due à un excès de production : le boom du pétrole de schiste aux États-Unis a créé une surcapacité mondiale de 1 à 2 millions de barils par jour, qui se résorbera progressivement : le prix du baril de Brent ne remontera pas à 80 $ avant 2020, pour atteindre Straturile de petrol situate la suprafață prin oxidare se transformă în asfalt acesta fiind deja descoperit în Orient în urmă cu cca. 12 000 de ani în Mesopotamia antică. Oamenii au învățat să folosească asfaltul, prin amestecare cu nisip și alte materiale ce etanșează pereții corăbiilor. Week Of Mon Tue Wed Thu Fri ; 1987 May-18 to May-22: 18.63: 18.45: 18.55: 1987 May-25 to May-29: 18.60: 18.63: 18.60: 18.60: 18.58: 1987 Jun- 1 to Jun- 5: 18.65

Tapis crude is a Malaysian crude oil used as a pricing benchmark in Singapore. Tapis is very light, with an API gravity of 43°-45°, and very sweet, with only about 0.04% sulfur. While it is not traded on a market like Brent Crude or West Texas Intermediate (WTI), it is often used as an oil marker for Asia and Australia.

L'ouverture des hostilités contre les 9,5 millions de barils/jour du pétrole de schiste américain est lancée. Prix moyen du baril de pétrole de Brent par année  Depuis 2000, une hausse durable des prix du pétrole et des produits dérivés. a) L'augmentation des prix du brut. Prix du brent en dollar par baril. Année.

The London Borough of Brent has three fire stations within the borough: Park Royal, Wembley and Willesden. Brent has a mixture of residential, industrial and commercial land. Most notably, Wembley National Stadium is within the area - on match days the safety of over 90,000 people is the responsibility of the London Fire Brigade.

Straturile de petrol situate la suprafață prin oxidare se transformă în asfalt acesta fiind deja descoperit în Orient în urmă cu cca. 12 000 de ani în Mesopotamia antică. Oamenii au învățat să folosească asfaltul, prin amestecare cu nisip și alte materiale ce etanșează pereții corăbiilor. Week Of Mon Tue Wed Thu Fri ; 1987 May-18 to May-22: 18.63: 18.45: 18.55: 1987 May-25 to May-29: 18.60: 18.63: 18.60: 18.60: 18.58: 1987 Jun- 1 to Jun- 5: 18.65 The price of oil, or the oil price, generally refers to the spot price of a barrel of benchmark crude oil—a reference price for buyers and sellers of crude oil such as West Texas Intermediate (WTI), Brent Crude, Dubai Crude, OPEC Reference Basket, Tapis crude, Bonny Light, Urals oil, Isthmus and Western Canadian Select (WCS). There is a differential in the price of a barrel of oil based on

Divest Brent. Brent, London, UK. Campaign to persuade Brent Council to divest its pension fund from fossil fuels. Get Involved. Local Groups 

Brent est le nom d'un gisement pétrolier découvert en 1971 en mer du Nord au large d'Aberdeen , dont l'exploitation a commencé en 1976. Le terme « brent » caractérise aujourd'hui un pétrole assez léger, issu d'un mélange de la production de 19 champs de pétrole situés en mer du Nord. For travelers driving to Brent be sure to fill up your vehicle at Mattawa, from the west, or Stonecliffe, from the east, before making the voyage as there is not a fuel station close by (nearest is Mattawa 100 km away). Fuel in Brent is roughly $4.00 to $5.00 per litre, when available, at the Brent Store. Brent is a no smoking village. La crise pétrolière qui a fait chuter le prix du pétrole à 50 $/baril est due à un excès de production : le boom du pétrole de schiste aux États-Unis a créé une surcapacité mondiale de 1 à 2 millions de barils par jour, qui se résorbera progressivement : le prix du baril de Brent ne remontera pas à 80 $ avant 2020, pour atteindre Straturile de petrol situate la suprafață prin oxidare se transformă în asfalt acesta fiind deja descoperit în Orient în urmă cu cca. 12 000 de ani în Mesopotamia antică. Oamenii au învățat să folosească asfaltul, prin amestecare cu nisip și alte materiale ce etanșează pereții corăbiilor. Week Of Mon Tue Wed Thu Fri ; 1987 May-18 to May-22: 18.63: 18.45: 18.55: 1987 May-25 to May-29: 18.60: 18.63: 18.60: 18.60: 18.58: 1987 Jun- 1 to Jun- 5: 18.65

Brent Crude is a major trading classification of sweet light crude oil that serves as one of the two main benchmark prices for purchases of oil worldwide, the other  Brent est le nom d'un gisement pétrolier découvert en 1971 en mer du Nord au large d'Aberdeen (Écosse), dont l'exploitation a commencé en 1976. Le terme  Le brent est un type de pétrole brut utilisé comme standard dans la fixation du prix du brut et comme matière première pour les contrats à terme sur le pétrole. Spot price of West Texas intermediate in relation to the price of Brent crude. West Texas intermediate (WTI), also known as Texas light sweet, is a grade of crude oil used as